Material
=====
[1]
Entry from the Materials Project database: crystalline Rb7GdFe6P8O34 at its relaxed geometry (PBE with a Hubbard U).

The structure in POSCAR format:
```
Rb7GdFe6P8O34
1.0
9.363 -0.007 -0.754
-4.457 8.965 -0.237
-0.114 0.054 10.078
O P Rb Fe Gd
34 8 7 6 1
Cartesian
7.287 0.786 0.476 O
0.427 5.547 4.049 O
0.269 6.544 7.463 O
1.937 8.135 6.462 O
-2.088 5.713 8.672 O
5.423 7.585 2.668 O
1.467 1.788 7.855 O
6.880 3.299 0.416 O
2.532 5.670 6.588 O
3.410 6.394 3.599 O
2.261 3.342 2.500 O
-0.384 2.419 0.171 O
4.771 5.250 1.803 O
4.524 2.467 1.625 O
-2.494 8.226 8.612 O
6.650 4.024 5.884 O
1.382 2.617 5.489 O
-1.765 6.999 0.688 O
5.881 1.588 5.789 O
-3.846 8.910 0.959 O
6.387 2.768 3.649 O
0.021 3.762 7.284 O
2.495 1.971 0.320 O
2.297 7.041 8.768 O
6.558 2.013 8.400 O
5.177 6.592 8.917 O
3.325 7.224 1.233 O
2.855 0.877 2.626 O
-1.858 4.988 3.204 O
4.365 3.465 5.039 O
-1.595 6.244 5.439 O
8.638 0.101 8.129 O
-0.630 1.427 6.420 O
-1.089 7.423 3.299 O
3.008 2.187 1.789 P
4.250 6.609 2.320 P
5.836 2.996 5.094 P
7.490 2.087 -0.344 P
1.785 6.825 7.299 P
0.543 2.403 6.768 P
-1.043 6.016 3.994 P
-2.698 6.925 9.432 P
4.682 -0.004 -0.377 Rb
3.320 0.261 6.016 Rb
-0.291 1.873 3.338 Rb
0.505 5.027 0.568 Rb
5.083 7.138 5.750 Rb
4.287 3.985 8.519 Rb
1.472 8.751 3.072 Rb
-2.530 8.097 2.110 Fe
3.914 7.995 -0.504 Fe
0.878 1.016 9.592 Fe
7.322 0.914 6.978 Fe
-1.184 5.216 7.060 Fe
5.976 3.796 2.028 Fe
2.396 4.506 4.544 Gd
```

Its formation enthalpy at 0 K is -2.466 eV per atom. The energy with MP2020 corrections comes out at -7.525 eV/atom.


[2]
Entry from the Materials Project database: crystalline Mn2InO5 at its relaxed geometry (PBE with a Hubbard U).

The structure in POSCAR format:
```
Mn2InO5
1.0
1.955 -5.011 0.000
1.955 5.011 0.000
0.000 0.000 10.273
O Mn In
10 4 2
Cartesian
1.955 1.899 9.723 O
1.955 2.894 2.568 O
1.955 -1.899 0.550 O
1.955 -4.539 1.110 O
1.955 -1.899 4.586 O
1.955 4.539 9.163 O
1.955 -2.894 7.705 O
1.955 4.539 6.247 O
1.955 -4.539 4.026 O
1.955 1.899 5.687 O
1.955 3.629 0.592 Mn
1.955 -3.629 5.728 Mn
1.955 -3.629 9.681 Mn
1.955 3.629 4.545 Mn
1.955 -3.049 2.568 In
1.955 3.049 7.705 In
```

Its formation enthalpy at 0 K is -1.861 eV per atom. The energy with MP2020 corrections comes out at -7.588 eV/atom. Its excess energy over the best structure of this formula in the dataset is 56 meV/atom.


[3]
Entry from the Materials Project database: crystalline Li3La7Fe2O16 at its relaxed geometry (PBE with a Hubbard U).

The structure in POSCAR format:
```
Li3La7Fe2O16
1.0
5.388 5.363 0.000
-5.388 5.363 0.000
0.000 2.687 6.392
La O Fe Li
7 16 2 3
Cartesian
0.000 5.399 4.585 La
0.000 10.711 4.671 La
-2.676 8.049 4.554 La
2.704 5.362 1.779 La
2.676 8.049 4.554 La
0.000 2.675 1.812 La
-2.704 5.362 1.779 La
-1.305 3.987 6.352 O
0.000 8.040 4.124 O
2.898 8.046 2.275 O
-1.319 9.344 6.368 O
-1.303 6.750 6.359 O
0.000 10.868 2.238 O
4.066 6.755 6.360 O
1.303 6.750 6.359 O
0.000 2.686 4.194 O
1.305 3.987 6.352 O
1.319 9.344 6.368 O
-2.683 5.367 4.079 O
-4.066 6.755 6.360 O
0.000 5.225 2.222 O
-2.898 8.046 2.275 O
2.683 5.367 4.079 O
0.000 10.700 0.028 Fe
0.000 5.389 0.035 Fe
-2.668 8.044 0.120 Li
2.668 8.044 0.120 Li
0.000 8.049 1.880 Li
```

Its formation enthalpy at 0 K is -3.064 eV per atom. The energy with MP2020 corrections comes out at -7.935 eV/atom.


[4]
Entry from the Materials Project database: crystalline Li2Fe3SnO8 at its relaxed geometry (PBE with a Hubbard U).

The structure in POSCAR format:
```
Li2Fe3SnO8
1.0
-4.341 4.123 0.153
0.510 -3.977 4.448
6.009 6.147 4.807
O Sn Fe Li
16 2 6 4
Cartesian
-0.463 -0.619 3.532 O
3.057 3.057 4.344 O
3.319 1.014 6.628 O
4.853 4.965 3.882 O
-2.963 3.415 1.323 O
0.924 5.155 4.503 O
-2.701 1.372 3.607 O
1.849 1.891 1.479 O
1.090 3.132 6.707 O
3.048 5.355 6.264 O
0.196 2.027 3.996 O
2.162 0.160 3.926 O
0.427 0.226 6.011 O
-0.734 1.297 1.244 O
2.817 7.156 4.250 O
1.082 7.222 6.334 O
1.835 1.732 5.370 Sn
3.222 7.506 6.341 Sn
0.961 -1.278 4.738 Fe
0.777 7.120 4.318 Fe
1.025 5.187 6.480 Fe
=====

Brief
Say how many lines of the listing earlier on hold the word "Rb", as a bare number.

Completed
8